Detecting Pupil Dilation Using Smart phones

Kasun Samaranayake
Ascentic Technology
9 min readAug 24, 2023

Using smart phones to accurately analyse pupil dilation

We recently encountered a need to identify a reliable technique for analysing pupil dilation using a smart phone.

We conducted an in-depth investigation into current pupil detection techniques. After discovering many different processes, we chose an approach outlined in a research paper titled “Robust Pupil Detection for Real-Time Pervasive Eye Tracking.”

The study’s results show that we can achieve an impressive 95% accuracy in real-time situations, giving us dependable outcomes. This breakthrough has profound implications, as it paves the way for exciting applications in healthcare, user experience improvement, and biometric authentication. This technology can have a huge impact and change many industries for the better.

While various approaches employ OpenCV and computer vision models for pupil detection, none have been specifically optimised for mobile devices. This is primarily due to challenges presented in the mobile environment, including fluctuating lighting conditions, processing speed limitations, and privacy considerations.

**Records of crystals that have nothing to do with the entry:**
+++
A relaxed TeAs2 crystal. Source: Alexandria via LeMat-Bulk, functional PBEsol.

The space group is P6/mmm (No. 191) and the conventional cell measures 4.6345, 4.6345 and 3.5211 Å, with angles of 90.00, 90.00 and 120.00 degrees. The asymmetric unit holds Te at (0.0000, 0.0000, 0.0000) and As at (0.3333, 0.6667, 0.5000).

For the formation energy without anion corrections, the calculation gives 101.8 kJ/mol of formula units.

~~~~~

# 1
Computed, not measured: a relaxed MnBeCo crystal at the PBE-GGA level of DFT.

Unit cell a=2.4543 b=3.5190 c=6.7256 alpha=90.00 beta=99.65 gamma=90.00
Space group P2_1/m (No. 11)
Asymmetric unit:
Mn 0.1812 0.2500 0.4266 x2
Be 0.0380 0.2500 0.0860 x2
Co 0.4013 0.2500 0.7904 x2

Values from the calculation:
formation enthalpy at 0 K = -0.28 eV/f.u.
relative energy among the computed polymorphs = 66 meV per atom
DOS at the Fermi energy = 6.34 states/eV/cell
energy = -6.759 eV per atom
density = 7.13 g cm⁻³

=====

# 2
Computed, not measured: a relaxed MgAlGe2 crystal at the PBE-GGA level of DFT.

Unit cell a=4.1821 b=4.1821 c=16.0445 alpha=90.00 beta=90.00 gamma=120.00
Space group R3m (No. 160, hexagonal axes)
Asymmetric unit:
Mg 0.0000 0.0000 0.0000 x3
Al 0.0000 0.0000 0.8206 x3
Ge 0.0000 0.0000 0.2429 x3
Ge 0.0000 0.0000 0.4110 x3

Values from the calculation:
formation enthalpy at 0 K = 0.07 eV/f.u.
DOS at the Fermi energy = 3.97 states/eV/cell
energy = -3.625 eV per atom
density = 4.03 g cm⁻³

~~~~~

The following is a PBE calculation of an optimized crystal structure of AgGeSe2Br, from the Alexandria database.

Computed properties:
V = 134 Å³/cell
electronic total energy = -13.80 eV per cell
ΔE to the lowest computed polymorph = 183 meV/atom
uncorrected formation energy = 0.46 eV/atom

The structure in CIF format:
```
data_AgGeSe2Br
_chemical_formula_sum 'Ag1 Ge1 Se2 Br1'
_space_group_name_H-M_alt 'P 4/m m m'
_space_group_IT_number 123
_space_group_name_Hall '-P 4 2'
_cell_length_a 5.109
_cell_length_b 5.109
_cell_length_c 5.127
_cell_angle_alpha 90.00
_cell_angle_beta 90.00
_cell_angle_gamma 90.00
loop_
_atom_site_label
_atom_site_type_symbol
_atom_site_fract_x
_atom_site_fract_y
_atom_site_fract_z
_atom_site_occupancy
Ag1 Ag 0.000 0.000 0.000 1
Ge1 Ge 0.500 0.500 0.500 1
Se1 Se 0.000 0.500 0.000 1
Br1 Br 0.000 0.000 0.500 1
```

The following is a PBE calculation of an optimized crystal structure of CsLaBe3, from the Alexandria database.

Computed properties:
V = 186 Å³/cell
electronic total energy = -9.50 eV per cell
ΔE to the lowest computed polymorph = 0 meV/atom
DFT formation energy = 7.46 eV per formula unit

The structure in CIF format:
```
data_CsLaBe3
_chemical_formula_sum 'Cs1 La1 Be3'
_space_group_name_H-M_alt 'P m -3 m'
_space_group_IT_number 221
_space_group_name_Hall '-P 4 2 3'
_cell_length_a 5.712
_cell_length_b 5.712
_cell_length_c 5.712
_cell_angle_alpha 90.00
_cell_angle_beta 90.00
_cell_angle_gamma 90.00
loop_
_atom_site_label
_atom_site_type_symbol
_atom_site_fract_x
_atom_site_fract_y
+++
**So much for the records of crystals:**

Addressing these challenges can make it possible to measure pupil diameter using mobile devices. The process can be broken down into several key steps:

· Capture Eye Area: The main smartphone camera is used to capture the eye area (pupil and iris) only, so we must ensure proper lighting conditions for accurate detection. By focusing on the eye area instead of the eye region (eyelids and eyebrows), the algorithm can reduce the impact of variable lighting on the overall accuracy.

· Image Pre- Processing: The captured eye area image is then processed using appropriate image processing tools, such as OpenCV. Pre-processing techniques like image thresholding, edge detection, and noise reduction are applied to transform the raw image to different formats and prepare it for pupil detection.

· Use Computer Vision Model: To detect the pupil within the processed image, we employ an appropriate computer vision model. This would be a convolutional neural network (CNN) for eye feature recognition. Using the right model ensures accurate and reliable pupil detection.

· Visualizing Pupil Detection Fluctuations: The objective here is to visualize how the pupil size changes over a period. This can involve tracking variations in pupil dimensions against the passage of time.

The main goal is to achieve accurate pupil detection. To achieve this utilising the right computer vision model significantly improves how accurately we can detect pupils when we apply it to processed images.

Before transitioning to the Computer Vision model, it’s important to ensure its compatibility with mobile devices. A solution that emerged involves converting the model into a lighter version using tools like TensorFlow or PyTorch. Firebase ML can then be utilised to host the model, making it accessible for mobile app users. This setup allows the model to be downloaded to the mobile app whenever needed, enabling the integration of the Computer Vision model on the mobile side.

Use Computer Vision Model

Based on the findings, there are two straightforward assumptions that help define the valid range of pupil dimensions without needing specific predefined values. These assumptions are:

1) the eye’s corners are within the image,

2) the eye’s corners cover at least two-thirds of the diagonal of the image.

It’s important to note that these assumptions are flexible — the method still functions effectively even if they are slightly violated.

The approach primarily focuses on detecting edges, specifically selecting curved edge segments that likely make up crucial parts of the pupil outline. These chosen segments are then combined under specific conditions to create additional options that could represent a reconstructed pupil outline. For each option, an ellipse is fitted, and its properties are assessed based on the roundness of the ellipse, the distribution of its edges in relation to the ellipse, and the section of the ellipse’s outline that supports the notion of it being the pupil. This assessment generates a confidence score for each option’s likelihood of being the pupil. The option with the highest confidence score is ultimately chosen as the pupil.

Edge Detection

The Canny edge operator (Canny, 1986) is used to find edges in the image. The edges are then processed using a morphological approach to make them thinner, straighter, and break connections. This method, following the steps of Fuhl et al. (2016c), results in an image with separate and streamlined edge sections.

Next, each of these edge sections is simplified using the k-cosine chain approximation method (Teh and Chin, 1989), which helps fit ellipses and improves accuracy, especially when separating the pupil from nearby edges is tricky. After this, different rules are applied to remove edge sections that probably aren’t part of the pupil outline. This step sharpens our focus on the important parts for further study.

Measuring Confidence

These three important factors can be considered to confidently determine the pupil.

Roundness of the Ellipse: This checks if the ellipse is round. It prefers round shapes, which happen when the camera is placed correctly. It’s like comparing the width to the length of the ellipse.

Spread of Edge Points: This checks if the edge points are spread out nicely around the ellipse. If they are, it means the shape is more like an ellipse, like a pupil. We just count how many edge points are in different parts of the ellipse.

Contrast of the Ellipse Outline: These measures how different the inside and outside parts of the ellipse are. We pick some points around the edge and see if the inside is darker than the outside, like a pupil’s appearance.

If the ellipse outline isn’t the right size or less than half of the outline contrast supports the potential pupil, the confidence score is zero. This way we do the validation part.

Conditional Segment Combination

Next, we take the remaining potential pupil segments and pair them up to create more potential pupils. This step helps reconstruct the pupil outline, which can be fragmented due to things like reflections or eyelashes getting in the way. Let’s call the sets of points for two segments D1 and D2, and the squares around them S1 and S2. We combine the segments if these squares overlap but aren’t completely inside each other — basically, some parts of S1 are in S2 and vice versa.

The resulting merged segment is subsequently evaluated based on the validation criteria discussed in the Edge Detection validation section above. Its confidence is determined using the method described in the Measuring Confidence section above. This approach allows us to accurately determine the pupil.

These methods underwent thorough testing using a large dataset of over 316,000 images captured with four distinct head-mounted eye-tracking devices. The results were quite impressive, showing a significant improvement in pupil detection compared to other approaches.

Right now, we’re actively working with this model to create a reliable pupil dilation system.

Capture Eye Area

To capture the eye area, we can record a short video focused on the eye. This video can then be converted into individual image frames. Each frame can be processed independently to analyze and detect the pupil accurately. This approach allows us to utilize multiple frames and ensures comprehensive coverage of the eye region for more reliable pupil dilation.

Image Pre- Processing with OpenCV

Image Processing with OpenCV can be achieved on the mobile end using platform-specific languages. For Android applications, developers can use Kotlin, while for iOS, Swift is the preferred choice. In cases where developers choose cross-platform frameworks like React Native or Flutter, they have the option to check whether OpenCV library support is available for their respective frameworks.

If a developer chooses Flutter or React Native and finds that OpenCV is not directly supported, they can still access the OpenCV library by communicating with the native side of the framework. This involves writing platform-specific code in Java/Kotlin for Android or Objective-C/Swift for iOS to access the OpenCV library. The communication between the cross-platform framework and the native side allows developers to leverage the powerful image processing capabilities of OpenCV.

Communication between Flutter and Native side
Communication between React-native and Native side

When using OpenCV in iOS development, developers typically need to create a bridging header to facilitate communication between Objective-C and Swift code.

OpenCV is primarily written in C++ and provides Objective-C wrappers for iOS. Therefore, if you are using Swift in your iOS project, you’ll need to create a bridging header to access the Objective-C code and use the OpenCV functionalities.

The bridging header acts as an interface between Swift and Objective-C, allowing seamless communication and interoperability between the two languages. This enables you to access the OpenCV libraries and utilize their image processing capabilities in your Swift codebase. You can follow this tutorial to add OpenCV lib to iOS.

We can utilize various image processing methods to enhance the eye image and isolate the pupils. Here are some common methods we can use in OpenCV for the image processing part:

1. Grayscale Conversion: Convert the eye image to grayscale using the cv2.cvtColor() function. Grayscale images simplify processing and reduce computation time.

2. Histogram Equalization: Improve the contrast and visibility of the image by applying histogram equalization using cv2.equalizeHist().

3. Gaussian Blur: Reduce noise and smooth the image using Gaussian blur with the cv2.GaussianBlur() function.

4. Thresholding: Use image thresholding to create binary images that segment the pupil from the background. The cv2.threshold() function can be used for this purpose.

5. Edge Detection: Detect edges in the image using edge detection algorithms like Canny edge detection (cv2.Canny()). Edge detection can help identify the boundaries of the pupil.

Morphological Operations: Utilize morphological operations, such as dilation and erosion, to clean up the image and refine the detected pupils’ contours.

After applying various filters and image processing techniques, the eye image appears enhanced and refined, similar to the image depicted above. These filters and methods have effectively isolated the pupils, making them stand out from the background and improving the overall clarity of the eye region.

There are indeed several approaches to detect pupils using OpenCV, but achieving high accuracy can be challenging. Pupil detection is a complex task influenced by various factors, including lighting conditions, noise, and occlusions. As a result, some of the existing approaches might not provide the desired level of accuracy.


In summary, we have evaluated several approaches currently available and have selected the solution above due to its superior accuracy compared to others. As mentioned, this method achieves an impressive accuracy in real-time situations, marking a significant advancement. This discovery holds promising potential for transformative applications in healthcare, enhancing technological utilization, and bolstering security reliability.

Throughout our exploration, we encountered two main challenges. The first involved fine-tuning the CNN model to effectively detect pupils, while the second centered around deploying the model within a mobile environment.

In simpler terms, we want to highlight the fact that there aren’t a lot of ways or solutions available for measuring the size of pupils using a CNN model on mobile devices. Importantly, we have successfully devised an innovative approach to locally run the model within the mobile environment, eliminating dependency on external servers or tools.

Our methodology involves utilising short videos to concentrate on the eye region and meticulously processing individual frames for heightened precision. Leveraging OpenCV tools has significantly enhanced the quality of eye images, and our implementation incorporates specialised communication techniques optimised for diverse platforms.

Although we have made strides in enhancing eye image quality, achieving absolute accuracy remains challenging due to factors such as lighting conditions and other variables.

This research helps us get better at detecting pupils, which could have many useful applications.

Crystal structures from another source follow
Entry 1:
An optimized crystal structure of HgPbO2. Source: Alexandria, functional GGA-PBE.

```
HgPbO2
1.0
0.0000 3.1396 3.1396
3.1396 0.0000 3.1396
3.1396 3.1396 0.0000
Hg Pb O
1 1 2
direct
0.0000 0.0000 0.0000 Hg
0.5000 0.5000 0.5000 Pb
0.2500 0.2500 0.2500 O
0.7500 0.7500 0.7500 O
```

Properties
For the energy above the most stable polymorph in this dataset, the calculation gives 436 meV per atom. For the formation energy without anion corrections, the calculation gives -0.20 eV/atom. Its space group is No. 225. The value obtained for the total moment is 0.00 μB/f.u.

Entry 2:
An optimized crystal structure of CsKHg2Au. Source: Alexandria, functional GGA-PBE.

```
CsKHg2Au
1.0
-2.4916 2.4996 7.9067
2.4916 -2.4996 7.9067
2.4916 2.4996 -7.9067
Cs K Hg Au
1 1 2 1
direct
0.0000 0.0000 0.0000 Cs
0.2658 0.7658 0.5000 K
0.6020 0.6020 0.0000 Hg
0.8058 0.3058 0.5000 Hg
0.4146 0.4146 0.0000 Au
```

Properties
For the energy above the most stable polymorph in this dataset, the calculation gives 0 meV per atom. The calculation puts the energy of formation from the pure elements at -0.27 eV per atom. Its space group is No. 44. The value obtained for the total moment is 0.00 μB/f.u.

Entry 3:
An optimized crystal structure of LiTb3Pr2Se6. Source: Alexandria, functional GGA-PBE.

```
LiTb3Pr2Se6
1.0
3.5811 -6.2219 0.0000
3.5811 6.2219 0.0000
-2.4119 0.0000 6.7582
Li Tb Pr Se
1 3 2 6
direct
0.0000 0.0000 0.0000 Li
0.1687 0.8313 0.5000 Tb
0.5000 0.5000 0.5000 Tb
0.8313 0.1687 0.5000 Tb
0.3344 0.6656 0.0000 Pr
0.6656 0.3344 0.0000 Pr
0.0846 0.4040 0.2553 Se
0.2327 0.2327 0.7459 Se
0.4040 0.0846 0.2553 Se
0.5960 0.9154 0.7447 Se
0.7673 0.7673 0.2541 Se
0.9154 0.5960 0.7447 Se
```

Properties
For the formation energy without anion corrections, the calculation gives -1.78 eV/atom. Its space group is No. 12. The value obtained for the total moment is 0.00 μB/f.u.

Entry 4:
An optimized crystal structure of Sc4Pd5Pt. Source: Alexandria, functional GGA-PBE.

```
Sc4Pd5Pt
1.0
7.3426 -2.2422 0.0000
7.3426 2.2422 0.0000
-1.9887 0.0000 5.2689
Sc Pd Pt
4 5 1
direct
0.0859 0.0859 0.3350 Sc
0.3060 0.3060 0.2177 Sc
0.6940 0.6940 0.7823 Sc
0.9141 0.9141 0.6650 Sc
0.1121 0.1121 0.8734 Pd
0.2903 0.2903 0.6985 Pd
0.5000 0.5000 0.0000 Pd
0.7097 0.7097 0.3015 Pd
0.8879 0.8879 0.1266 Pd
0.5000 0.5000 0.5000 Pt
```

Properties
The calculation puts the energy of formation from the pure elements at -0.93 eV per atom. Its space group is No. 12. The value obtained for the total moment is 0.00 μB/f.u.

Entry 5:
An optimized crystal structure of Ca3AcPd8. Source: Alexandria, functional GGA-PBE.

```
Ca3AcPd8
1.0
5.5338 0.0000 0.0000
-2.7669 4.7924 0.0000
0.0000 0.0000 9.0536
Ca Ac Pd
3 1 8
direct
0.0000 0.0000 0.0000 Ca
0.0000 0.0000 0.3614 Ca
0.3333 0.6667 0.8902 Ca
0.3333 0.6667 0.5114 Ac
0.0033 0.5017 0.1902 Pd
0.3294 0.1647 0.6934 Pd
0.4983 0.5017 0.1902 Pd
0.4983 0.9967 0.1902 Pd
0.6667 0.3333 0.4400 Pd
0.6667 0.3333 0.9421 Pd
0.8353 0.1647 0.6934 Pd
0.8353 0.6706 0.6934 Pd
```
Here the text continues

Importantly, we are currently in the process of implementing this model. This means that we are actively working on turning this solution into a reality.

Thank you for making it to the end of this article!

Please let me know in the comments if you found this helpful or would like to share your experiences.

Reference — Robust pupil detection for real-time pervasive eye tracking

